Single contact center mgts phone. Mgts technical center hotline phone number

Technical support of the telecommunications provider MGTS is a 24-hour customer service service that operates through a universal Contact Center. Add it to the list functionality includes general consulting of the company's clients on a wide range of issues, primarily related to financial and technical aspects. In addition, operators hotline accept applications for connection additional services, and also process calls with complaints from Muscovites regarding the quality of communication in real time.

About the technical support service

The Universal Contact Center was opened by PJSC Moscow City Telephone Network in 2006, combining the provider’s disparate services into a single whole. On its basis, MGTS implemented a system for prompt call service using tone dialing, developed by the largest Russian IT company Sitronics. This mechanism allows you to optimize subscriber requests, distributing them into separate areas: connection of services, financial issues, repair work, etc.

In 2012, as part of the hardware replacement and subsequent abandonment of copper wires in favor of fiber optics, the Contact Center underwent modernization. This made it possible to significantly reduce the waiting time for a technical support employee to respond from 1 minute to 15-30 seconds. Moreover, today more than 50 thousand MGTS clients use the services of the Contact Center every day, including Internet users, landline phone owners, mobile subscribers, and digital television fans.

Phone list

To contact MGTS support service, you need to call one of the numbers provided:

  • from city – (495) 63 – 60 – 636;

  • from mobile – 0636.

In addition, the provider has set up a couple of hotlines, thanks to which you can:

  • find out your personal account balance – (495) 70 – 74 – 455;

  • inform the operator about the quality of the services provided – (495) 70 – 07 – 777.

For MGTS subscribers All calls to the Contact Center, including 24-hour hotlines, are completely free.

Back call

Customers of Moscow city telephone networks who use digital television and the Internet, but are not fixed-line or mobile subscribers, can order a call back from a support operator on the official website.

  1. Go to the address –

  2. Leave your contact phone number.

  3. Decide on the topic of the question.

  4. Explain the question you are interested in in as much detail as possible.

  5. Confirm that you are a person and not a robot by choosing a color that matches the picture.

  6. Click on the “Submit” button.

This option can also be used by subscribers of any Russian operators who need advice from MGTS specialists.

Reviews about MGTS technical support

Egor – 24 years old (Moscow):

I have been working in the Contact Center for the last two years. Staff turnover is quite large, which does not have the most favorable effect on the quality of service. However, in light of recent events - the collapse of the exchange rate, the situation has changed dramatically. Many employees began to truly value their workplace.

The requirements here are very high, conversations are recorded. So if someone complains about the operator, then he will have to report to his superiors, and then he will not be far from being fired.

Finally, I’ll share one little secret. If you want to speed up the process of resolving your issue, then do not agree to the standard phrase “we will call you back,” but demand that you stay on the line until all the circumstances of the current problem are clarified.

Andrey – 28 years old (Chekhov):

The coordination of the MGTS support service leaves much to be desired. When I ordered Internet using GPON technology, I asked to additionally connect digital TV. But after an hour he changed his mind, and accordingly informed the operator about it. The specialist who came to the call brought a TV tuner with him and in an aggressive manner began to force me to accept this “gift”. In general, we had to call back to the Contact Center, whose specialists an hour later clarified our conflict with the installer! There is no trace of European service quality standards here.

Svetlana – 23 years old (Lyubertsy):

Overall, I am satisfied with the technical support service of Moscow city telephone networks. But, based on the experience of numerous requests, I got the impression that, along with highly qualified specialists, some crooks work there.

Once I had to order Internet settings for a Chinese mobile phone running Android OS. After calling the operator, he told me that there are no automatic settings for this smartphone model. Consequently, I made all the necessary configurations myself under the dictation of this employee, but nothing worked. About 30 minutes later, having contacted another specialist from the same Contact Center, they sent me without any difficulty automatic settings. Just so you understand, such cases occur with enviable regularity.

Lyudmila – 19 years old (Moscow):

I call the support service - they understand everything and accept complaints. What's the point if I've been stuck with a broken modem for two weeks now?

The responses of the operators are also surprising; for all occasions they have either “We have technical failures” or “Free specialists for this moment No. We will contact you as soon as possible." And this has been the case for 10 days in a row.

Thus, the quality of service of the MGTS Contact Center, taking into account all the positive and negative aspects, still needs to be improved. And if there are basically no questions regarding the hardware, then the human factor definitely spoils the picture. Therefore, improving the qualifications of customer support employees is a top priority for the management of the telecommunications giant.

Technical support for telecommunications provider MGTS is a special service designed to serve subscribers. The service operates around the clock. During the day, each client of the provider in question can contact a company employee by dialing the hotline number and telling about the problem that has arisen. You can also contact the company through your personal account. Read more about how to use the created service in the article.

About the service

First, it’s worth understanding what the Universal Contact Center “Moscow City Telephone Network” is.

Previously, the provider's services existed separately; they were united only in 2006. Based on the formed service, MGTS implemented a system for prompt call service. This was done through the use of tone dialing.

Tone dialing is a development of the large Russian IT company Sitronics. Thanks to this mechanism, it is possible to optimize calls, messages and other types of customer requests, distributing them in various directions. Among the popular destinations:

  • connection of services;
  • financial questions;
  • repair work, etc.

2012 was the year of hardware modernization for the company. As a result, MGTS abandoned the use of copper wires. The introduction of new equipment and system updates made it possible to reduce the waiting time for an employee to respond. Previously, this indicator was a minute, now the time has been reduced to 30 seconds.

Today to the city telephone network More than 50 thousand Muscovites apply. Each of the clients is trying to resolve issues regarding the Internet, landline phone or mobile network.

The main support telephone numbers for 24/7 MGTS line numbers are presented in the table:

Number What issues are being addressed? Call cost
8−800−250−00−50 A technical support employee is ready to answer any questions you may have regarding the use of any of the services provided by the company. Calls to all cities and regions of Russia are free
8−495−636−0-536 Additional multi-channel number, available to Moscow residents Free for Muscovites, not available to others
8−495−700−70−70 Technical support solves business issues. You can also contact this number if you need to connect or disconnect the service, or resolve an unusual situation. The call is paid. The cost is determined based on the tariffs of the operator used

Help queries

Most questions asked to technical support operators relate to the topic of connecting, disabling functions, and installing equipment serviced by the company. Also popular among help requests are consultations on downloading videos, turning on the camera, or improving picture and sound quality.

An attractive service of the company is the visit of a specialist to connect and configure a certain service, if it is not possible to do it yourself. The date and time of the visit is determined by the client. The maximum duration of work will take no more than five minutes. However, it is worth considering that the service is paid. The cost of one call in Moscow is 500 rubles.

The service operates 24 hours a day, 7 days a week. During this time, the company's employees manage to answer more than 50 thousand calls, and this figure is regularly growing.

TOP 3 best rates MGTS on home Internet for pensioners:

Other useful MGTS services

In addition to the hotline, MGTS has several more communication channels. Among them:

  1. Official website:
  2. Personal account:
  3. Email: [email protected].
  4. Groups on social networks (Odnoklassniki, VK, Twitter, Moi Mir, Facebook).

Thus, you can choose any method to ask your question and receive detailed advice.

Is it possible to contact support through your personal account?

Personal account is an interactive office intended for use by registered users. Inside the created virtual space there is information about the services used. Also Personal Area provides information about the balance, tariffs, and company shares.

Features that a personal account offers:

  • viewing services;
  • options management;
  • balance check;
  • payment of bills;
  • inclusion of TV packages;
  • receiving alerts.

This is an incomplete list of opportunities that the client can take advantage of.
Private MGTS office Previously, everything listed above could only be done by visiting a branch of the organization in person. Now the company’s client does not even have to leave home in order, for example, to pay for the necessary service.

To contact technical support through your personal account, you will need:

  1. Complete registration. To do this, you need to enter your passport details and other information that the operator or bot located on the site will require.
  2. Obtain a login and password from one of the customer service centers.
  3. Sign in. To do this, you need to enter the phone number from which you registered, as well as a password.
  4. View the main page that will open after logging in.

On home page All possibilities provided to the client are specified. He can not only contact a representative of MGTS, but also pay for the service himself, connect or disconnect a certain service or tariff.

The appearance of MGTS has made life easier for Muscovites and residents of other regions.

We also invite you to look at a real review from a user of the MGTS network, whether it is worth connecting to the Internet from this company:

The Moscow City Telephone Network is one of the oldest Russian companies. It was established in 1882. MGTS provides a wide range of services - mobile connection, Internet access, digital television, housing management system (smart home). The company has the largest data transmission backbone network in Moscow. MGTS is one of the first operators to start using Internet tariffs with speeds of up to 500 Mbit/s. The company's communication lines cover about 95% of the capital's apartments.

-- Misplaced data records --
┌──
1.
Diffraction record for GaN3F6. The powder diffractogram is theoretical, not measured: it uses a DFT-relaxed cell (PBE, the Materials Project) and Cu Ka.

Principal peaks in the range 10 to 90 degrees two-theta, low angle first:
d (Å)  2θ/deg  I/Imax
4.426  20.06  54
3.833  23.20  100
2.711  33.05  45
2.312  38.96  39
1.917  47.43  68
1.759  51.99  20
1.714  53.45  38
1.565  59.03  15
1.355  69.34  34
1.278  74.22  16

Cell and atoms:
Cell lengths 7.6667, 7.6667, 7.6667 Å; angles 90.00, 90.00, 90.00 degrees
Sites, in units of the cell vectors:
1 Ga 0.0000 0.0000 0.0000
2 Ga 0.0000 0.5000 0.5000
3 Ga 0.5000 0.0000 0.5000
4 Ga 0.5000 0.5000 0.0000
5 N 0.0000 0.0000 0.5000
6 N 0.0000 0.5000 0.0000
7 N 0.2470 0.7470 0.7530
8 N 0.2470 0.7530 0.2530
9 N 0.2530 0.2470 0.7530
10 N 0.2530 0.2530 0.2530
11 N 0.5000 0.0000 0.0000
12 N 0.5000 0.5000 0.5000
13 N 0.7470 0.7470 0.7470
14 N 0.7470 0.7530 0.2470
15 N 0.7530 0.2470 0.7470
16 N 0.7530 0.2530 0.2470
17 F 0.0022 0.0031 0.2557
18 F 0.0022 0.4969 0.7557
19 F 0.0031 0.2443 0.5022
20 F 0.0031 0.2557 0.0022
21 F 0.2443 0.5022 0.0031
22 F 0.2443 0.9978 0.5031
23 F 0.2557 0.0022 0.0031
24 F 0.2557 0.4978 0.5031
25 F 0.4969 0.7443 0.5022
26 F 0.4969 0.7557 0.0022
27 F 0.4978 0.5031 0.2557
28 F 0.4978 0.9969 0.7557
29 F 0.5022 0.0031 0.2443
30 F 0.5022 0.4969 0.7443
31 F 0.5031 0.2443 0.9978
32 F 0.5031 0.2557 0.4978
33 F 0.7443 0.5022 0.4969
34 F 0.7443 0.9978 0.9969
35 F 0.7557 0.0022 0.4969
36 F 0.7557 0.4978 0.9969
37 F 0.9969 0.7443 0.9978
38 F 0.9969 0.7557 0.4978
39 F 0.9978 0.5031 0.2443
40 F 0.9978 0.9969 0.7443

=====

2.
Diffraction record for GaN2OF5. The powder diffractogram is theoretical, not measured: it uses a DFT-relaxed cell (PBE, the Materials Project) and Cu Ka.

Principal peaks in the range 10 to 90 degrees two-theta, low angle first:
d (Å)  2θ/deg  I/Imax
6.268  14.13  100
4.704  18.87  53
4.604  19.28  22
3.573  24.92  52
3.393  26.27  34
3.134  28.48  13
2.752  32.54  14
2.685  33.37  20
2.221  40.62  13
1.997  45.42  22

Cell and atoms:
Cell lengths 9.4073, 8.4051, 6.7854 Å; angles 90.00, 90.00, 90.00 degrees
Sites, in units of the cell vectors:
1 Ga 0.0000 0.0943 0.2500
2 Ga 0.0000 0.9057 0.7500
3 Ga 0.5000 0.4057 0.7500
4 Ga 0.5000 0.5943 0.2500
5 N 0.1566 0.4038 0.7350
6 N 0.1566 0.5962 0.2350
7 N 0.3434 0.0962 0.2350
8 N 0.3434 0.9038 0.7350
9 N 0.6566 0.0962 0.2650
10 N 0.6566 0.9038 0.7650
11 N 0.8434 0.4038 0.7650
12 N 0.8434 0.5962 0.2650
13 O 0.0000 0.1293 0.7500
14 O 0.0000 0.8707 0.2500
15 O 0.5000 0.3707 0.2500
16 O 0.5000 0.6293 0.7500
17 F 0.0000 0.4991 0.2500
18 F 0.0000 0.5009 0.7500
19 F 0.0856 0.1305 0.5118
20 F 0.0856 0.8695 0.0118
21 F 0.1658 0.1938 0.1643
22 F 0.1658 0.8062 0.6643
23 F 0.3342 0.3062 0.6643
24 F 0.3342 0.6938 0.1643
25 F 0.4144 0.3695 0.0118
26 F 0.4144 0.6305 0.5118
27 F 0.5000 0.0009 0.7500
28 F 0.5000 0.9991 0.2500
29 F 0.5856 0.3695 0.4882
30 F 0.5856 0.6305 0.9882
31 F 0.6658 0.3062 0.8357
32 F 0.6658 0.6938 0.3357
└──

Communication with the company's clients is at a high level. Available to users different numbers phones and online chat. You can separately ask a question about the company’s services or submit a request through the feedback form.

MGTS toll-free hotline

The telephone number of the company's contact center is 8-495-636-06-36. Calls from landline and mobile numbers MGTS travel is free.

Additionally available to clients short number– 0636. You can call it from mobile phone MTS or MGTS.

Hotline MGTS Moscow

Residents of Moscow can call the above phone number. For subscribers of the Moscow region there is a single telephone number - 8-800-250-00-50. Calls within the region are free. The hotline operates 24 hours a day.

Hotline MGTS St. Petersburg

Phone numbers of the company's contact center are available only to residents of Moscow and the Moscow region. The service is not provided in St. Petersburg. However, citizens can call the MGTS hotline numbers.

Hotline in the regions

MGTS coverage applies only to Moscow and the Moscow region. The company does not operate in other regions. Calls to telephone numbers of the Moscow city telephone network from other regions are paid according to the tariffs of the cellular operator.

Other methods of communication

There are several icons on the main page of the site. Two of them are displayed at the bottom of the page on a blue stripe, another one is in the form of a circle to the right above them.

If you click on the blue circle (bottom right), an online chat form will open. The system will prompt the user to enter a phone number and password. After logging in, you can ask any question about the company’s services.

In addition to online chat, the site provides a feedback form. The user needs to indicate his full name, landline phone number, email, select the topic of the question and state its essence. You can attach a file or image separately. Before sending an SMS, you must confirm your consent to the processing of personal data.

Users can separately ask questions about the company’s services via social media. For example, on Facebook or VKontakte. The community administrator usually responds within a day.

Additionally, clients can contact one of MGTS branches. Their list can be found on the website of the telecommunications company. Just go to the “Sales Centers” section. Then you need to select “Show list” and region. The system will show the addresses of the branches.

If you click on any address, a new window will open, where the route map and the branch’s work schedule will be presented.

Another way to contact the company is mobile app. It can be downloaded from the MGTS website. The application gives the user access to his personal account.

Clients of the company can also write a letter to Email[email protected]. Mailbox is intended for correspondence with individuals regarding the provision of communication services and technical support to the population.

What issues can experts help with?

Citizens can receive advice on such issues - services telephone communication, company promotions and tariffs, personal account balance, Internet access or cable television, connection or disconnection of the service. Contact center employees also resolve financial and technical issues and receive complaints about the quality of communication. If a landline phone malfunctions, citizens can apply to call a repairman.

On what issues will support not be able to help?

Technical support staff do not provide advice on services and tariffs of other mobile operators and do not address issues of fraud.

Most answers to questions can be found on the website. Contact center employees periodically remind citizens about the “Support” section. Here you need to select the appropriate section (Internet, television, mobile communications) and find the information you are interested in. Individual answers may be found in the Additional Information section.

If the user decides to refuse the company’s services, the contact center employees will invite him to contact the nearest branch of the company.

Response time and specialist competence

The speed of response to a client's request depends on the method of communication. When using online chat, you can get an answer to your question almost immediately.

If a person calls the hotline, then you need to take into account the time of day. The speed of response depends on the workload of operators. Sometimes you have to wait 5–10 minutes. Moreover, you need to take into account the operating time of the answering machine. It is triggered before the subscriber connects to the operator. Users are offered digital combinations that can be used to get answers to possible questions.

Technical customer support has a multi-level system. If the operator cannot answer the client’s question, he will redirect him to a specialized specialist. The switching system works instantly.